**To do:**
Work out how many lines below have the word "species" in them; a number is enough, please.

**Contents:**
Below is C3H3NO2S2 in the gas phase, with properties calculated with ωB97M-V/def2-TZVPD.

XYZ file:
```
11
Properties=species:S:1:pos:R:3
O -1.24 2.10 0.12
C -0.53 1.14 -0.07
O 0.82 1.25 -0.29
N 1.34 -0.04 -0.57
S 2.82 -0.32 0.18
C 0.28 -0.93 -0.39
C -0.87 -0.28 -0.14
S -2.50 -0.87 0.07
H 2.40 -0.42 1.46
H 0.50 -1.99 -0.54
H -3.03 0.37 0.17
```

- Kohn-Sham gap (eV) = 9.027
- E_LUMO (hartree) = 0.0056
- total charge = 0

Below is C3H3NO3 in the gas phase, with properties calculated with ωB97M-V/def2-TZVPD.

XYZ file:
```
10
Properties=species:S:1:pos:R:3
O -1.17 2.15 -1.26
C -0.68 1.18 -0.75
C 0.23 0.99 0.36
C 0.44 -0.33 0.46
O 1.16 -1.02 1.35
N -0.20 -1.04 -0.57
O -0.95 -0.09 -1.28
H 0.65 1.78 0.96
H 1.39 -1.89 0.97
H -0.86 -1.73 -0.23
```

- Kohn-Sham gap (eV) = 9.822
- E_LUMO (hartree) = 0.0085
- total charge = 0

Below is C3H3NO3 in the gas phase, with properties calculated with ωB97M-V/def2-TZVPD.

XYZ file:
```
10
Properties=species:S:1:pos:R:3
O 2.61 -0.49 0.13
C 1.82 0.50 -0.02
C 0.26 0.20 -0.21
N -0.52 1.13 -0.13
O -1.79 0.66 0.14
C -1.69 -0.72 0.13
O -0.33 -1.09 -0.17
H 1.94 1.61 0.36
H -2.55 -1.01 -0.62
H -2.01 -1.07 1.02
```

- Kohn-Sham gap (eV) = 9.320
- E_LUMO (hartree) = -0.0167
- total charge = 0

Below is a 2-piece molecular cluster, C3H3NO3S overall, with properties calculated with ωB97M-V/def2-TZVPD.

XYZ file:
```
11
Properties=species:S:1:pos:R:3
C -1.72 -2.34 -1.86
C -1.66 -1.88 1.76
C 0.82 -0.91 -0.84
N -2.06 -3.35 -1.44
O -1.65 -2.61 2.65
O -1.25 -1.25 -2.37
O -0.12 1.00 -2.37
S -0.62 0.06 -1.44
H 0.46 -1.87 -0.87
H 1.75 -0.83 -1.40
H 0.86 -0.69 0.28
```

- Kohn-Sham gap (eV) = 10.862
- E_LUMO (hartree) = 0.0126
- total charge = 0

Below is C3H3NO4 in the gas phase, with properties calculated with ωB97M-V/def2-TZVPD.

XYZ file:
```
11
Properties=species:S:1:pos:R:3
O -3.14 0.44 0.75
N -2.56 0.28 -0.30
O -3.06 0.03 -1.43
C -1.07 0.67 -0.20
O -0.33 -0.13 -1.03
C 0.42 -0.96 -0.16
C 0.15 -0.62 1.09
O -0.66 0.49 1.16
H -1.08 1.85 -0.49
H 0.99 -1.64 -0.67
H 0.51 -1.14 1.93
```

- Kohn-Sham gap (eV) = 9.291
- E_LUMO (hartree) = -0.0053
- total charge = 0

Below is C3H3NO4S as an isolated structure, with properties calculated with ωB97M-V/def2-TZVPD.

XYZ file:
```
12
Properties=species:S:1:pos:R:3
C 3.82 0.28 -0.11
C 2.78 0.55 -0.67
C -2.69 0.43 0.43
N -0.55 0.57 -0.26
O -2.65 -0.76 -0.04
O -0.49 -1.80 -1.15
O -0.56 -1.37 1.27
O -1.62 1.21 0.28
S -0.86 -1.04 -0.04
H 4.43 0.31 0.66
H 2.02 0.92 -1.19
H -3.65 0.70 0.83
```

- Kohn-Sham gap (alpha / beta) (eV) = 8.881 / 8.880
- E_LUMO (alpha / beta) (hartree) = -0.0269 / -0.0269
- total charge = 0

Below is C3H3NOS in the gas phase, with properties calculated with ωB97M-V/def2-TZVPD.

XYZ file:
```
9
Properties=species:S:1:pos:R:3
S -2.28 -0.32 -0.14
C -0.55 0.09 -0.04
C 0.46 0.96 -0.06
N 1.76 0.31 -0.16
C 1.41 -0.93 -0.12
O 0.09 -1.16 -0.02
H -2.95 0.92 0.32
H 0.16 1.95 0.03
H 1.91 -1.81 0.18
```

- Kohn-Sham gap (eV) = 9.456
- E_LUMO (hartree) = 0.0171
- total charge = 0

Below is a 2-piece molecular cluster, C3H3NOS2 overall, with properties calculated with ωB97M-V/def2-TZVPD.

XYZ file:
```
10
Properties=species:S:1:pos:R:3
C 0.34 1.34 0.90
C -0.22 -0.64 -0.02
C 0.47 1.52 -0.34
N -1.40 -0.70 -0.61
O 0.41 2.03 -1.38
S 0.74 -1.94 0.35
S 2.40 -1.39 1.16
H 0.76 0.87 1.73
H -2.08 0.08 -0.40
H -1.41 -1.17 -1.39
```

- Kohn-Sham gap (eV) = 6.957
- E_LUMO (hartree) = -0.0429
- total charge = 0

Below is C3H3NOS2 as an isolated structure, with properties calculated with ωB97M-V/def2-TZVPD.

XYZ file:
```
10
Properties=species:S:1:pos:R:3
C 1.81 -0.86 -0.07
C 0.32 -0.54 0.06
C -1.24 1.14 0.09
H 1.81 -1.91 -0.36
H -1.74 1.73 -0.74
H -1.29 1.57 1.10
N -0.71 -1.39 0.06
O 0.10 0.73 -0.23
S 3.08 0.02 0.07
S -2.12 -0.48 0.02
```

- Kohn-Sham gap (eV) = 7.469
- E_LUMO (hartree) = -0.0378
- total charge = 0

Below is C3H3NOS2 in the gas phase, with properties calculated with ωB97M-V/def2-TZVPD.

XYZ file:
```
10
Properties=species:S:1:pos:R:3
O 0.11 2.10 -0.55

**Solution:**
10